
Between Two Realms

The sky is a vast expanse of iridescence, with shades of blue, purple, and black all melding together seamlessly. The colors of the atmosphere move and shift, which causes an ethereal dance that takes my breath away. The world around him also mirrors what Alex sees in the sky. There are plants of many colors with different aspects with each. Alex walks over to a flower with a gradient between blue and purple and a yellow center. The petals are so soft and delicate. He then brings his attention back to the landscape that he's in. The trees around this region are stretched so tall up into the sky that the leaves shimmer in the ever-changing light. The scent of the landscape is beautiful, a honey floral scent that seemed to come from everywhere all at once.

As Alex walks and observes the world he is in, he feels a sense of wonder. He is mesmerized by the beauty of the world around him, and he suddenly realizes this isn't like any other dream he has been in before. He knew many unknown things about his magic of dreams, but he never expected this. He feels a sense of wanting to learn more, gain more knowledge, and wonder about the dream realm he is wandering around. He wants to uncover all the mysteries there are to it. He looks down and realizes he is on clouds. As he walks with each step, the soft white puffs of vapor are soft and squishy. He decides to go below the clouds and discover what beholds him at the bottom.

He is surrounded by rolling hills with lush green grass swaying to the gentle breeze in unison with more flowers and trees. Alex decides to continue walking and see what lies beyond the mountain. Behind the hill, he catches sight of a vast expanse of an enchanting lake of liquid gold that sparkles with the beautiful iridescent sky. The lake has a feeling of warmth radiating from it. As he gets closer, Alex can see creatures swimming inside, ranging from schools of fish shimmering in the golden pot of honey to a mermaid with skin as radiant as liquid gold. The mermaid has jet-black hair that contrasts beautifully with her golden skin. She senses his presence and turns to face him, the expression of wonder spreading across her face.

As he approaches the mermaid, she still looks at him with her golden brown eyes.

She asks, "Who are you?" her voice is musical and enchanting. Alex has never seen a mermaid before, never mind one made of gold.

"I'm Alex," he replies slowly as he tries to process the surroundings before him along with the mermaid.

"Alex," she repeats. "I haven't heard that name before. Are you new here?"

Alex nods; he feels anxious, not knowing where this will go. He has read briefly before that dreams can be dangerous. "I don't know where here is. I just found myself walking here, and I assume I am in some dream." Alex says.

"You're right in the sense you are in the Dream Realm, but somehow you have wandered outside your dream and into the Slumbering Grove."

Alex's face lights up in amazement, he is so confused about what's going on, but he loves it. "Wow, this place is incredible."

With a mischievous glint in the mermaid's eyes, she says, "It certainly is. And you know what they say, Alex. Anything can happen in the dream realm."

~~~
1.
The following is a quantum chemistry calculation of a molecular structure, C33H38N6O2S2TeW at a distorted geometry, from OMol25.

```
83
Properties=species:S:1:pos:R:3
W 1.082 -0.271 0.965
C 4.355 0.291 3.896
C 3.410 -0.210 2.863
N 2.296 0.449 2.565
N 2.102 1.611 3.263
C 1.067 2.287 2.911
N 0.854 3.501 3.525
S -0.096 1.826 1.699
C 3.563 -1.404 2.140
C 4.738 -2.295 2.078
C 5.893 -2.024 1.465
C 6.364 -0.802 0.696
C 4.332 -0.157 -0.534
N 2.490 -1.630 1.393
H 4.605 1.335 3.714
H 5.259 -0.316 3.899
H 3.888 0.243 4.884
H 1.342 3.623 4.397
H -0.091 3.843 3.508
H 4.621 -3.286 2.514
H 6.645 -2.811 1.500
H 7.176 -0.339 1.260
H 4.426 -1.126 -1.010
O 2.060 -0.435 -0.983
N 2.455 1.404 0.058
C 3.162 2.462 0.574
C 4.467 2.538 0.921
C 5.415 1.481 0.961
C 5.320 0.239 0.358
C 2.992 0.340 -0.547
S 1.794 -2.777 0.436
H 2.539 3.330 0.757
H 4.783 3.490 1.332
H 6.305 1.664 1.556
H 6.819 -1.167 -0.229
C -0.930 -2.648 3.702
C -1.200 -1.577 2.679
O -2.326 -1.196 2.436
N -0.088 -1.055 2.082
Te -1.007 -0.050 -0.989
C -1.849 -1.510 -2.244
C -2.108 -2.787 -1.752
C -1.819 -3.177 -0.324
C -2.663 -3.719 -2.623
C -2.973 -3.403 -3.938
C -3.578 -4.426 -4.865
C -2.703 -2.113 -4.389
C -2.131 -1.149 -3.567
C -1.857 0.229 -4.123
C -2.497 1.436 -0.910
C -3.809 1.109 -0.554
C -4.232 -0.297 -0.212
C -4.751 2.133 -0.517
C -4.420 3.451 -0.807
C -5.451 4.549 -0.734
C -3.108 3.735 -1.167
C -2.127 2.747 -1.235
C -0.730 3.167 -1.634
H -1.784 -3.320 3.754
H -0.803 -2.171 4.677
H -0.019 -3.197 3.460
H -2.299 -2.494 0.377
H -0.749 -3.147 -0.107
H -2.175 -4.187 -0.124
H -2.867 -4.720 -2.252
H -3.803 -5.354 -4.338
H -2.895 -4.661 -5.684
H -4.503 -4.053 -5.308
H -2.937 -1.847 -5.417
H -2.032 0.246 -5.199
H -0.825 0.530 -3.933
H -2.502 0.981 -3.662
H -3.636 -0.682 0.620
H -4.102 -0.969 -1.063
H -5.284 -0.319 0.076
H -5.774 1.888 -0.243
H -6.446 4.146 -0.544
H -5.484 5.119 -1.665
H -5.213 5.251 0.070
H -2.831 4.758 -1.412
H -0.775 4.021 -2.312
H -0.177 2.367 -2.117
H -0.154 3.461 -0.752
```

HOMO-LUMO gap (spin up / spin down) = 0.222 / 0.238 Ha
F_max = 0.0498 Eh/bohr
multiplicity = 3
LUMO level (spin up / spin down) = -0.327 / -0.917 eV
energy = -2890.73869 Eh
M = 926.281 g/mol

---

2.
The following is a quantum chemistry calculation of a molecular structure, C15H29Br3NO13S2 at a distorted geometry, from OMol25.

```
63
Properties=species:S:1:pos:R:3
N -0.379 -0.377 -0.628
O 0.613 0.011 0.018
O -1.326 0.440 -0.871
O -0.435 -1.517 -1.125
O 2.771 -2.255 -1.496
C 2.978 -1.597 -2.453
O 3.373 -2.123 -3.652
C 3.586 -1.176 -4.680
C 3.439 0.202 -4.015
C 2.846 -0.093 -2.640
H 2.861 -1.325 -5.484
H 4.590 -1.368 -5.062
H 2.774 0.897 -4.525
H 4.425 0.640 -3.862
H 1.792 0.171 -2.517
H 3.316 0.466 -1.833
O -1.269 -1.368 2.172
C -1.748 -0.382 2.672
O -2.855 -0.462 3.395
C -3.265 0.825 3.851
C -2.003 1.704 3.682
C -1.246 1.020 2.505
H -3.543 0.780 4.904
H -4.133 1.162 3.284
H -1.403 1.664 4.590
H -2.234 2.742 3.443
H -0.173 1.149 2.558
H -1.567 1.312 1.500
O -4.554 -0.363 0.766
S -5.074 -1.402 -0.074
~~~

Questions are racing through his mind, but to answer them, he asks, "What exactly is the Slumbering Grove?"

The mermaid spoke with a voice that was as fluid and enchanting as the world around them. "As we established earlier, the Slumbering Grove is a sacred place, a small but significant branch of the Dream Realm where dreams are born. It is a place where magic flows like a river, and dreams take shape as delicate threads of light. The dream weavers, the guardians of this realm, are beings of great power and beauty. They are tall and slender, with wings that shimmer like the iridescence of the sky and hair that flows like liquid gold. Their eyes are the windows to their soul, shining with the magic they weave into each dream."

Alex listened intently, captivated by the mermaid's words. "Dream weavers are responsible for weaving and maintaining the threads of dreams, ensuring they remain strong and intact. But sometimes, these threads can become twisted and dark, giving rise to the nightmares that haunt our sleep. So a delicate balance must be maintained, constant vigilance to keep the threads pure and free from corruption."

The mermaid paused, and Alex could see the weight of responsibility in her eyes. "There are others who dwell in the Slumbering Grove, like me, who aid the dream weavers when they need it. We are unsure why we can help them, but we do what we can preserve dreams' purity."

"Now you have a glimpse of the world you have wandered into," the mermaid concluded. "A world of magic and wonder, but also a great responsibility. May you find your way safely through the Slumbering Grove, and may your dreams be filled with light."

At that, the mermaid swam away into the liquid honey pot of gold as my alarm clock woke me up, leaving me with unanswered questions. Did that happen? Did I wander away from my subconscious into a beautiful world where dreams are created? I would like to know if I may ever know.